(Request)
Say how many lines of the listing further down hold the word "parameters", as a bare number.
(Source)
+++
(1)
Computed powder diffraction line list
Compound: HoTh3C2
Radiation: λ = 1.5418 Å (Cu Kα)
Structure: DFT lattice parameters and positions (PBE)

Principal peaks in the range 5° ≤ 2θ ≤ 70°, sorted by position:
2theta, I (rel.)
28.2, 46
29.9, 87
30.0, 43
34.2, 100
48.1, 34
50.2, 36
56.7, 18
58.6, 25
58.7, 13
59.6, 20

Structure:
abc: 8.4126 8.4126 12.5744
angles: 128.58 128.58 24.96
Atoms (fractional coordinates):
1 Ho 0.1397 0.1397 0.2003
2 Ho 0.8603 0.8603 0.7997
3 Th 0.1389 0.1389 0.6980
4 Th 0.3641 0.3641 0.5514
5 Th 0.3665 0.3665 0.0572
6 Th 0.6335 0.6335 0.9428
7 Th 0.6359 0.6359 0.4486
8 Th 0.8611 0.8611 0.3020
9 C 0.2440 0.2440 0.1201
10 C 0.2532 0.2532 0.6269
11 C 0.7468 0.7468 0.3731
12 C 0.7560 0.7560 0.8799

=====

(2)
Computed powder diffraction line list
Compound: BaPPdO4
Radiation: λ = 1.5418 Å (Cu Kα)
Structure: DFT lattice parameters and positions (PBE)

Principal peaks in the range 5° ≤ 2θ ≤ 70°, sorted by position:
2theta, I (rel.)
18.1, 58
21.0, 9
29.8, 100
35.1, 36
42.7, 11
46.7, 21
52.9, 37
56.4, 15
61.9, 15
65.1, 11

Structure:
abc: 5.9950 5.9950 5.9950
angles: 60.00 60.00 60.00
Atoms (fractional coordinates):
1 Ba 0.0000 0.0000 0.0000
2 P 0.5000 0.5000 0.5000
3 Pd 0.7500 0.7500 0.7500
4 O 0.1854 0.6049 0.6049
5 O 0.6049 0.1854 0.6049
6 O 0.6049 0.6049 0.1854
7 O 0.6049 0.6049 0.6049

~~~~~

(1)
Diffraction record for ZnP2H8O10. The powder diffraction line list is theoretical, not measured: it uses a PBE-relaxed structure and copper Kα.

Main lines, sorted by position (2θ from 15° to 90°):
15.13 deg, I = 74; 18.82 deg, I = 64; 20.03 deg, I = 92; 26.28 deg, I = 46; 27.84 deg, I = 100; 29.39 deg, I = 50; 30.33 deg, I = 37; 32.14 deg, I = 21; 37.91 deg, I = 21; 40.71 deg, I = 19

a b c (Å): 5.3506 10.0540 8.6967
angles (deg): 90.00 124.06 90.00
Sites, in units of the cell vectors:
Zn (0.0000, 0.0000, 0.0000)
Zn (0.0000, 0.5000, 0.5000)
P (0.0915, 0.2168, 0.3362)
P (0.0915, 0.2832, 0.8362)
P (0.9085, 0.7168, 0.1638)
P (0.9085, 0.7832, 0.6638)
H (0.1227, 0.7251, 0.0121)
H (0.1227, 0.7749, 0.5121)
H (0.4053, 0.0755, 0.8340)
H (0.4053, 0.4245, 0.3340)
H (0.4174, 0.5508, 0.2321)
H (0.4174, 0.9492, 0.7321)
H (0.4422, 0.1080, 0.5960)
H (0.4422, 0.3920, 0.0960)
H (0.5578, 0.6080, 0.9040)
H (0.5578, 0.8920, 0.4040)
H (0.5826, 0.0508, 0.2679)
H (0.5826, 0.4492, 0.7679)
H (0.5947, 0.5755, 0.6660)
H (0.5947, 0.9245, 0.1660)
H (0.8773, 0.2251, 0.4879)
H (0.8773, 0.2749, 0.9879)
O (0.0184, 0.6705, 0.3596)
O (0.0184, 0.8295, 0.8596)
O (0.1366, 0.1325, 0.8634)
O (0.1366, 0.3675, 0.3634)
O (0.1496, 0.6716, 0.1216)
O (0.1496, 0.8284, 0.6216)
O (0.3951, 0.1404, 0.4725)
O (0.3951, 0.3596, 0.9725)
O (0.4732, 0.5343, 0.7101)
O (0.4732, 0.9657, 0.2101)
O (0.5268, 0.0343, 0.7899)
O (0.5268, 0.4657, 0.2899)
O (0.6049, 0.6404, 0.0275)
O (0.6049, 0.8596, 0.5275)
O (0.8504, 0.1716, 0.3784)
O (0.8504, 0.3284, 0.8784)
O (0.8634, 0.6325, 0.6366)
O (0.8634, 0.8675, 0.1366)
O (0.9816, 0.1705, 0.1404)
O (0.9816, 0.3295, 0.6404)

(2)
Diffraction record for Zn2P2H12O11. The powder diffraction line list is theoretical, not measured: it uses a PBE-relaxed structure and copper Kα.

Main lines, sorted by position (2θ from 15° to 90°):
23.29 deg, I = 37; 23.48 deg, I = 37; 24.46 deg, I = 21; 24.88 deg, I = 36; 25.20 deg, I = 100; 27.29 deg, I = 39; 27.56 deg, I = 49; 28.17 deg, I = 59; 28.32 deg, I = 23; 37.67 deg, I = 23

a b c (Å): 7.5875 7.6467 9.5527
angles (deg): 89.20 89.39 87.33
Sites, in units of the cell vectors:
Zn (0.0000, 0.0000, 0.0000)
Zn (0.0021, 0.5008, 0.7515)
Zn (0.5000, 0.5000, 0.5000)
Zn (0.9979, 0.4992, 0.2485)
P (0.1291, 0.2766, 0.4878)
P (0.2282, 0.6100, 0.9867)
P (0.7718, 0.3900, 0.0133)
P (0.8709, 0.7234, 0.5122)
H (0.0366, 0.8830, 0.2723)
H (0.0388, 0.0902, 0.2598)
H (0.2113, 0.1073, 0.4828)
H (0.2412, 0.2357, 0.9421)
H (0.2456, 0.7400, 0.5987)
H (0.3403, 0.0589, 0.8949)
H (0.3832, 0.0299, 0.1867)
H (0.3896, 0.5935, 0.2445)
H (0.4006, 0.6715, 0.9759)
H (0.4018, 0.4084, 0.7646)
H (0.4254, 0.8228, 0.6470)
+++
(Reply)
2